Instruction manual template

Instruction manual template is a sample manual document that shows the process, procedure and steps of giving instructions on how to performing repetitive or routines tasks and activities. A well designed instruction manual sample can help end users and operation stuff to understand the function properly.


Instruction Writing basics

Instruction manual can use the cognitive model of writing approach. The cognitive model of writing sees writing as problem solving, goal setting, and decision making activities that play out in the mind of the writer as he/she plans, translates thought to print, and revises. For this approach, at the beginning of composing, the manual writer start with defining the rhetorical problem of writing the particular piece of text. With the problem, the writer creates a hierarchical network of guiding goals that help to direct the development of the text. Writers may develop sub-goals which give support to their top-level goals.

Instruction manual can use the social view of writing approach. The social view of writing sees writing as social interaction. With this approach, writing is participation in a communicative event for the purpose of accomplishing some social goal. If the writing is effective, the social goal is attained through the performance of a pattern of generic discourse moves or practices recognized as conventional by members of the discourse community that regularly interact with each other through exemplars of the genre. Depending on the learning style and characteristics of target group, you may combine the two writing approach to writing an effective instruction manual

Instruction Manual Template Design

There is manual example you may download for reference, however, you may use Word to create sample instruction manual template for your own needs and situation. During the development process, it is key to understanding the instruction manual format, instruction manual layout and instruction manual outline.

The first key part in instruction manual template is the general information. In the section, you need to give background information on the instruction manual. For example, what is the principle of the instruction manual? The Instruction Manual Objectives:__ etc.

• Attached: calculated molecules:
<<<
Here is a single C2H5N5O molecule from the OMol25 dataset. Energies are from ωB97M-V/def2-TZVPD.

Computed properties:
HOMO energy (eV): -8.292
ΔE to the lowest compared entry with this formula, charge and spin (kcal per mole): 119.0
F_max (eV/Å): 3.97
Gap between HOMO and LUMO (Eh): 0.3139

Element x y z (Å)
C  0.194  1.696  -0.656
C  0.474  0.567  0.203
H  -0.596  -1.827  1.043
H  -1.896  -0.735  0.198
H  0.309  -0.578  -2.459
H  0.455  2.736  -0.443
H  1.109  -0.670  2.779
N  -1.020  -1.455  0.052
N  0.013  -0.517  -0.517
N  -0.298  -0.037  -1.780
N  -0.144  1.282  -1.862
N  0.770  0.412  1.441
O  0.629  -0.876  2.000
>>>

The second key part in instruction manual sample is detail process and procedure. In the section, you may state the detail steps for performing tasks. For example, the Technical Data:__; The Installation Process:__; The maintenance Instruction:__.

The last key part in instruction manual example is the roles and responsibilities. In the section, you need to show the roles and responsibilities of members. It is important to state clearly the supervisor roles and the staff roles etc.